Letter: Daniel A Bell replies

 Just Hierarchy: Why Social Hierarchies Matter in China and the Rest of the World, Daniel A Bell, Wang Pei (Princeton University Press, March 2020)
Just Hierarchy: Why Social Hierarchies Matter in China and the Rest of the World, Daniel A Bell, Wang Pei (Princeton University Press, March 2020)

The review of Just Hierarchy: Why Social Hierarchies Matter in China and the Rest of the World regrettably doesn’t engage with the substance of the argumentation. Our main argument, unmentioned in the review, is that different hierarchical principles ought to govern different kinds of social relations. We show that morally justified hierarchies can and should govern different spheres of our social lives, though these will be very different from the unjust hierarchies that have mainly governed us in the past.

## Misplaced crystal structures
First-principles (PBE) data for crystalline ErMgAlZn at its relaxed geometry, as listed in Alexandria.

abc: 6.8748 6.8748 6.8748
angles: 90.00 90.00 90.00
Last column: nearest neighbours and their distance in Å.
Space group F-43m (No. 216)
Unique sites:
Er1 0.0000 0.0000 0.0000  4 Al 2.98, 4 Zn 2.98
Mg1 0.0000 0.0000 0.5000  4 Al 2.98, 4 Zn 2.98
Al1 0.2500 0.2500 0.7500  4 Mg 2.98, 4 Er 2.98
Zn1 0.2500 0.2500 0.2500  4 Mg 2.98, 4 Er 2.98

Output
**Calculated volume**: 20.31 Å³ per atom
**Formation energy**: -0.27 eV/atom
**DOS at the Fermi energy**: 3.1 states/eV/cell
**Mass density**: 5.80 Mg/m³

But let me respond to a couple of methodological points. The reviewer writes: “In Just Hierarchies, Bell and Wang obviously wish to take the discussion beyond the realms of academe to the general reader.” But it’s not either/or. The book is published by a leading academic press, it was submitted to a blind referee process, and it has lots of endnotes. So I hope it will be of interest to academics. But I write in an accessible way that may also appeal to general readers. It’s just the way I write, and I’d find it more challenging to write convoluted prose. For physicists, perhaps, there is necessary tradeoff between academic rigor and accessibility. But not for political theorists.

The reviewer wonders what standards we use to justify our claims and he writes that “the net result—after citations from Confucius, Chinese history and the like—is that Chinese structures and practices should be evaluated in reference to Chinese conditions, situations and points of reference.” The review might have left the impression that we use the status quo in China as our moral and political standard. That’s not our view. In the introduction, we explicitly argue that what underpins our argument are the considered political intuitions of people who share our progressive conservative perspective: progressive in the sense that we endorse traditional egalitarian causes of the political left and conservative in the sense that we share an attachment to tradition and recognize that some traditional hierarchies are morally defensible. We refer to history, philosophy, and social science to argue that the progressive conservative perspective is widely endorsed in China and to a lesser extent outside of China.

The reviewer makes our argument sound like an apology for the CCP by quoting a few lines from the last paragraph of the book. It does indeed sound absurd if the previous argumentation is not discussed. In chapter 5, we argue that it’s important to establish political control over AI research to make sure it is channeled in morally desirable ways. We argue that an ideal solution is to establish a cross-cultural consensus about the goals and limits of research and to enforce it globally. But we worry that such a solution may not be realistic. So we suggest that the Chinese Communist Party—if and only if it is seriously committed to Marxist and Communist values—may be a viable candidate as a second best alternative to lead the struggle against malevolent AI that potentially threatens all of humanity. But we argue that the CCP has moral legitimacy to lead this struggle if and only if it is committed to the Marxist ideal of a communist society where machines do most of the socially necessary work and humans are free to realize their creative essences. We also argue that the CCP should be committed to Confucian values that prioritize harmonious social relations.

The reviewer twice mentions COVID-19. Our book was written before the virus pandemic, but we updated our argument about the importance of hierarchy for dealing with the pandemic in an SCMP comment. Terrible mistakes were made at the start of the crisis, but the ability of the CCP to contain the epidemic (so far) lends some support to our argument in chapter 5 that a strong CCP-like government may be necessary to contain malevolent forms of science and technology in the interests of preserving human life.


Daniel A Bell (Shandong University)




Peter Gordon replies:

As I hoped to make clear in my review, Just Hierarchies has an interesting and worthwhile objective—to inject non-Western approaches and ideas into socio-political models and theories. The book itself covers lots of ground, and includes a great number of points that readers may find individually interesting or thought-provoking. That, plus the authors’ accessible prose, is enough to merit a reading.

**Between two parts of the entry: records of crystals**
- - -
# 1
# Pr2PuGe3Ir4 (PBE-GGA, relaxed)
data_Pr2PuGe3Ir4
_chemical_formula_sum 'Pr2 Pu1 Ge3 Ir4'
_cell_length_a 4.2512
_cell_length_b 4.2512
_cell_length_c 11.0784
_cell_angle_alpha 90.00
_cell_angle_beta 90.00
_cell_angle_gamma 90.00
_symmetry_space_group_name_H-M 'P -4 m 2'
_symmetry_Int_Tables_number 115
loop_
_symmetry_equiv_pos_as_xyz
'x,y,z'
'y,-x,-z'
'-x,-y,z'
'-y,x,-z'
'-x,y,z'
'-y,-x,-z'
'x,-y,z'
'y,x,-z'
loop_
_atom_site_label
_atom_site_fract_x
_atom_site_fract_y
_atom_site_fract_z
Pr1 0.0000 0.5000 0.2314
Pu1 0.0000 0.0000 0.5000
Ge1 0.0000 0.5000 0.8777
Ge2 0.5000 0.5000 0.5000
Ir1 0.0000 0.0000 0.0000
Ir2 0.0000 0.5000 0.6532
Ir3 0.5000 0.5000 0.0000
# - theoretical density (g/cm³) = 12.54
# - total energy (eV/atom) = -8.034
# - spin magnetization (μB/cell) = 4.8
# - formation energy from the elements (kJ per mole of atoms) = -69.0



# 2
# PmPrNd2Er5 (PBE-GGA, relaxed)
data_PmPrNd2Er5
_chemical_formula_sum 'Pm4 Pr4 Nd8 Er20'
_cell_length_a 8.7191
_cell_length_b 8.7191
_cell_length_c 15.5326
_cell_angle_alpha 90.00
_cell_angle_beta 90.00
_cell_angle_gamma 90.00
_symmetry_space_group_name_H-M 'I 4/m c m'
_symmetry_Int_Tables_number 140
_symmetry_space_group_name_Hall '-I 4 2c'
loop_
_atom_site_label
_atom_site_fract_x
_atom_site_fract_y
_atom_site_fract_z
Pm1 0.0000 0.5000 0.2500
Pr1 0.0000 0.0000 0.2500
Nd1 0.1173 0.3827 0.0000
Er1 0.0000 0.0000 0.0000
Er2 0.2094 0.2906 0.3629
# - theoretical density (g/cm³) = 7.94
# - total energy (eV/atom) = -4.403
# - spin magnetization (μB/cell) = 0.0
# - formation energy from the elements (kJ per mole of atoms) = 24.1



# 3
# TbEr2In (PBE-GGA, relaxed)
data_TbEr2In
_chemical_formula_sum 'Tb1 Er2 In1'
_cell_length_a 3.5683
_cell_length_b 3.5683
_cell_length_c 9.0997
_cell_angle_alpha 90.00
_cell_angle_beta 90.00
_cell_angle_gamma 90.00
_symmetry_space_group_name_H-M 'P 4/m m m'
_symmetry_Int_Tables_number 123
_symmetry_space_group_name_Hall '-P 4 2'
loop_
_atom_site_label
_atom_site_fract_x
_atom_site_fract_y
_atom_site_fract_z
Tb1 0.0000 0.0000 0.0000
Er1 0.5000 0.5000 0.2732
In1 0.0000 0.0000 0.5000
# - excess energy over the best structure of this formula in the dataset (meV per atom) = 30
# - theoretical density (g/cm³) = 8.72
# - total energy (eV/atom) = -4.358
# - spin magnetization (μB/cell) = 0.0
# - formation energy from the elements (kJ per mole of atoms) = -22.6



Please write out number 3 again, unchanged.
# TbEr2In (PBE-GGA, relaxed)
data_TbEr2In
_chemical_formula_sum 'Tb1 Er2 In1'
_cell_length_a 3.5683
_cell_length_b 3.5683
_cell_length_c 9.0997
_cell_angle_alpha 90.00
_cell_angle_beta 90.00
_cell_angle_gamma 90.00
_symmetry_space_group_name_H-M 'P 4/m m m'
_symmetry_Int_Tables_number 123
_symmetry_space_group_name_Hall '-P 4 2'
loop_
_atom_site_label
_atom_site_fract_x
_atom_site_fract_y
_atom_site_fract_z
Tb1 0.0000 0.0000 0.0000
Er1 0.5000 0.5000 0.2732
In1 0.0000 0.0000 0.5000
# - excess energy over the best structure of this formula in the dataset (meV per atom) = 30
- - -

Reviewers need to decide what are the salient points of any given book. I did not find the argumentation one of them here. Daniel Bell’s letter illuminates why: the book’s main argument is, he says, that “different hierarchical principles ought to govern different kinds of social relations”. But since this is obvious, the book’s 200 pages must serve a purpose other than demonstrating it.

In this letter, Bell suggests what this might be by projecting a framing on the review—that it implies “we use the status quo in China as our moral and political standard” or that it “makes our argument sound like an apology for the CCP”—that is not actually in the review itself. Either the book is meant to read in the context of Western criticisms of China or the authors expect that it will be.

Once again, fair enough, and, indeed, dealing with the question via an inclusive overarching paradigm is an approach worth pursuing. But I felt that the authors risked alienating their potential target audience with such phrases as “for the sake of humanity we need to pray for the victory of the CCP”, with which they conclude the book.